Work order =
Your job: restate all of the contents underneath with every line break kept.

Source =
-- begin --
The following is a quantum chemistry calculation of an isolated molecule of C3H6S2 in a non-equilibrium geometry, from the OMol25 dataset.

Output
**Energy relative to the best compared isomer or geometry (same formula, charge and spin)**: 306.56 kJ/mol
**HOMO-LUMO gap**: 8.106 eV
**HOMO**: -9.06 eV
**SMILES string**: S=CCCS
**Calculated total energy**: -914.15891 a.u.

Cartesian coordinates (Å):
C  0.8663  0.4253  -0.0848
C  -0.3530  -0.2601  0.3524
C  -1.5286  0.3019  -0.1098
H  2.0146  -1.7679  -0.2390
H  0.5888  0.7803  -1.3056
H  1.0436  1.4998  0.3420
H  -0.4646  -1.3166  -0.0165
H  -0.1949  -0.1216  1.4788
H  -1.6113  1.4470  -0.1468
S  2.6891  -0.4643  -0.1249
S  -3.0500  -0.5237  -0.1456

~~~~~

Computed, not measured: an isolated molecule of C3H8O3 at a distorted geometry, with ωB97M-V/def2-TZVPD.

Calculated values
LUMO ... 0.598 eV
HOMO-LUMO gap ... 10.4 eV
ΔE to the lowest compared entry with this formula, charge and spin ... 205.9 kJ/mol

Cartesian coordinates (Å):
C  -0.034  -1.372  -0.615
C  -0.282  -0.445  0.553
O  -1.819  0.026  0.602
C  0.191  0.951  0.473
O  1.719  0.496  0.708
O  0.011  1.534  -0.754
H  0.928  -1.868  -0.501
H  -0.820  -2.124  -0.640
H  -0.049  -0.830  -1.559
H  -0.157  -0.889  1.535
H  -2.065  0.324  -0.284
H  -0.013  1.575  1.342
H  2.067  0.176  -0.135
H  0.323  2.446  -0.724

=====

Computed, not measured: an isolated molecule of C3H8O3S2 at a distorted geometry, with ωB97M-V/def2-TZVPD.

Calculated values
LUMO ... 0.536 eV
HOMO-LUMO gap ... 9.9 eV
ΔE to the lowest compared entry with this formula, charge and spin ... 353.9 kJ/mol

Cartesian coordinates (Å):
C  2.015  -0.496  0.410
C  0.760  -0.505  -0.469
O  -0.276  -1.435  -0.044
C  0.157  0.887  -0.556
O  -1.225  0.789  -1.071
S  -2.217  0.443  0.166
O  -1.549  0.345  1.409
S  -3.639  -0.735  -0.370
H  2.310  -1.470  0.746
H  2.895  0.099  -0.028
H  1.599  0.089  1.249
H  0.978  -0.800  -1.574
H  0.164  -1.810  0.810
H  0.190  1.399  0.518
H  0.576  1.430  -1.272
H  -2.736  1.769  0.075

=====

Computed, not measured: a cluster of 2 separate species, C3H8O4 in total at a distorted geometry, with ωB97M-V/def2-TZVPD.

Calculated values
LUMO ... 0.454 eV
HOMO-LUMO gap ... 11.1 eV
ΔE to the lowest compared entry with this formula, charge and spin ... 139.6 kJ/mol

Cartesian coordinates (Å):
O  0.943  0.628  0.879
C  1.059  0.411  -0.324
O  2.037  -0.426  -0.784
C  0.020  1.062  -1.195
C  -1.408  0.606  -0.911
O  -1.211  -0.815  -0.652
H  2.777  -0.297  -0.081
H  0.250  0.758  -2.217
H  0.162  2.119  -1.095
H  -2.202  0.755  -1.664
H  -1.711  1.161  -0.005
H  -0.325  -0.912  -0.343
O  -1.061  -1.199  2.515
H  -0.747  -0.380  2.244
H  -1.901  -1.173  2.080

=====

Computed, not measured: a cluster of 2 separate species, C3H8O4 in total at a distorted geometry, with ωB97M-V/def2-TZVPD.

Calculated values
LUMO ... 0.623 eV
HOMO-LUMO gap ... 10.6 eV
ΔE to the lowest compared entry with this formula, charge and spin ... 170.6 kJ/mol

Cartesian coordinates (Å):
C  0.709  0.119  0.970
O  0.388  -0.071  -0.397
C  0.291  1.251  -0.933
C  -0.389  1.152  -2.292
O  -1.537  1.558  -2.403
O  0.381  0.521  -3.213
H  -0.031  0.567  1.655
H  1.618  0.744  0.977
H  0.970  -0.886  1.343
H  -0.253  1.959  -0.279
H  1.243  1.732  -1.232
H  1.262  0.135  -2.955
O  -1.433  -2.838  2.547
H  -2.342  -3.057  2.854
H  -0.878  -2.888  3.358

=====

- Among the records above, which one has the highest ΔE to the lowest compared entry with this formula, charge and spin?
  C3H8O3S2

~~~~~

[1]
Below is an isolated molecule of C5H7N3 at a distorted geometry, with properties calculated with the ωB97M-V functional and the def2-TZVPD basis.

Each line ends with the natural charge from an NBO analysis.
Geometry (Å):
C 1.60415 -0.56946 0.77979  -0.629
C 0.84023 -0.04100 -0.47319  -0.262
C 0.41574 1.35598 -0.34308  -0.211
C -1.92030 -0.95571 -0.40531  -0.113
C -0.75378 -0.34295 -0.50276  0.088
H 1.46074 0.03594 1.77488  0.235
H 2.86690 -0.74752 0.53489  0.227
-- stop --

Here it is =
The following is a quantum chemistry calculation of an isolated molecule of C3H6S2 in a non-equilibrium geometry, from the OMol25 dataset.

Output
**Energy relative to the best compared isomer or geometry (same formula, charge and spin)**: 306.56 kJ/mol
**HOMO-LUMO gap**: 8.106 eV
**HOMO**: -9.06 eV
**SMILES string**: S=CCCS
**Calculated total energy**: -914.15891 a.u.

Cartesian coordinates (Å):
C  0.8663  0.4253  -0.0848
C  -0.3530  -0.2601  0.3524
C  -1.5286  0.3019  -0.1098
H  2.0146  -1.7679  -0.2390
H  0.5888  0.7803  -1.3056
H  1.0436  1.4998  0.3420
H  -0.4646  -1.3166  -0.0165
H  -0.1949  -0.1216  1.4788
H  -1.6113  1.4470  -0.1468
S  2.6891  -0.4643  -0.1249
S  -3.0500  -0.5237  -0.1456

~~~~~

Computed, not measured: an isolated molecule of C3H8O3 at a distorted geometry, with ωB97M-V/def2-TZVPD.

Calculated values
LUMO ... 0.598 eV
HOMO-LUMO gap ... 10.4 eV
ΔE to the lowest compared entry with this formula, charge and spin ... 205.9 kJ/mol

Cartesian coordinates (Å):
C  -0.034  -1.372  -0.615
C  -0.282  -0.445  0.553
O  -1.819  0.026  0.602
C  0.191  0.951  0.473
O  1.719  0.496  0.708
O  0.011  1.534  -0.754
H  0.928  -1.868  -0.501
H  -0.820  -2.124  -0.640
H  -0.049  -0.830  -1.559
H  -0.157  -0.889  1.535
H  -2.065  0.324  -0.284
H  -0.013  1.575  1.342
H  2.067  0.176  -0.135
H  0.323  2.446  -0.724

=====

Computed, not measured: an isolated molecule of C3H8O3S2 at a distorted geometry, with ωB97M-V/def2-TZVPD.

Calculated values
LUMO ... 0.536 eV
HOMO-LUMO gap ... 9.9 eV
ΔE to the lowest compared entry with this formula, charge and spin ... 353.9 kJ/mol

Cartesian coordinates (Å):
C  2.015  -0.496  0.410
C  0.760  -0.505  -0.469
O  -0.276  -1.435  -0.044
C  0.157  0.887  -0.556
O  -1.225  0.789  -1.071
S  -2.217  0.443  0.166
O  -1.549  0.345  1.409
S  -3.639  -0.735  -0.370
H  2.310  -1.470  0.746
H  2.895  0.099  -0.028
H  1.599  0.089  1.249
H  0.978  -0.800  -1.574
H  0.164  -1.810  0.810
H  0.190  1.399  0.518
H  0.576  1.430  -1.272
H  -2.736  1.769  0.075

=====

Computed, not measured: a cluster of 2 separate species, C3H8O4 in total at a distorted geometry, with ωB97M-V/def2-TZVPD.

Calculated values
LUMO ... 0.454 eV
HOMO-LUMO gap ... 11.1 eV
ΔE to the lowest compared entry with this formula, charge and spin ... 139.6 kJ/mol

Cartesian coordinates (Å):
O  0.943  0.628  0.879
C  1.059  0.411  -0.324
O  2.037  -0.426  -0.784
C  0.020  1.062  -1.195
C  -1.408  0.606  -0.911
O  -1.211  -0.815  -0.652
H  2.777  -0.297  -0.081
H  0.250  0.758  -2.217
H  0.162  2.119  -1.095
H  -2.202  0.755  -1.664
H  -1.711  1.161  -0.005
H  -0.325  -0.912  -0.343
O  -1.061  -1.199  2.515
H  -0.747  -0.380  2.244
H  -1.901  -1.173  2.080

=====

Computed, not measured: a cluster of 2 separate species, C3H8O4 in total at a distorted geometry, with ωB97M-V/def2-TZVPD.

Calculated values
LUMO ... 0.623 eV
HOMO-LUMO gap ... 10.6 eV
ΔE to the lowest compared entry with this formula, charge and spin ... 170.6 kJ/mol

Cartesian coordinates (Å):
C  0.709  0.119  0.970
O  0.388  -0.071  -0.397
C  0.291  1.251  -0.933
C  -0.389  1.152  -2.292
O  -1.537  1.558  -2.403
O  0.381  0.521  -3.213
H  -0.031  0.567  1.655
H  1.618  0.744  0.977
H  0.970  -0.886  1.343
H  -0.253  1.959  -0.279
H  1.243  1.732  -1.232
H  1.262  0.135  -2.955
O  -1.433  -2.838  2.547
H  -2.342  -3.057  2.854
H  -0.878  -2.888  3.358

=====

- Among the records above, which one has the highest ΔE to the lowest compared entry with this formula, charge and spin?
  C3H8O3S2

~~~~~

[1]
Below is an isolated molecule of C5H7N3 at a distorted geometry, with properties calculated with the ωB97M-V functional and the def2-TZVPD basis.

Each line ends with the natural charge from an NBO analysis.
Geometry (Å):
C 1.60415 -0.56946 0.77979  -0.629
C 0.84023 -0.04100 -0.47319  -0.262
C 0.41574 1.35598 -0.34308  -0.211
C -1.92030 -0.95571 -0.40531  -0.113
C -0.75378 -0.34295 -0.50276  0.088
H 1.46074 0.03594 1.77488  0.235
H 2.86690 -0.74752 0.53489  0.227